Persistence pays

One of the most surprising and unexpected Christmas gifts I received this year was a voucher for two sessions at a physiotherapy clinic. At a recent church get-together I had mentioned the trouble I was having with my shoulder, and how I had been on the waiting list for treatment for months. Realising that I was unlikely to do anything more about it myself, the person listening, (who happened to be a medical practitioner), decided to take the initiative out of my hands.

Well, in the course of my two excellent sessions I have learned three useful things about physiotherapy exercises

  1. They are hard work
  2. They have to be done regularly
  3. They do make a difference

While my shoulder itself is still not completely better, I am much less aware of the discomfort I used to feel, and have a sense that things are now heading in the right direction.

[Misplaced calculated molecules]
(1)
This record from the Open Molecules 2025 dataset describes a 2-piece molecular cluster, C7H16N2O overall in a non-equilibrium geometry. The level of theory is ωB97M-V/def2-TZVPD.

* max |F|: 3.38 eV/A
* Kohn-Sham gap: 8.70 eV
* lowest unoccupied orbital energy: 0.78 eV
* SMILES: CC(C)C(N)=O.C=C(C)N
* HOMO: -7.92 eV
* multiplicity: 1
* energy: -461.0289 Eh

```
26
C7H16N2O | the Open Molecules 2025 dataset | ωB97M-V/def2-TZVPD
C 1.912 0.323 2.262
C 0.620 0.267 1.441
C -0.333 -0.766 1.928
C 1.130 -0.031 -0.072
N 1.538 1.113 -0.697
O 1.518 -1.127 -0.419
H 2.611 1.041 1.836
H 1.692 0.598 3.293
H 2.390 -0.656 2.269
H 0.143 1.249 1.410
H -0.547 -1.517 0.987
H -0.083 -1.195 2.896
H -1.360 -0.421 1.967
H 1.970 1.021 -1.602
H 1.084 1.986 -0.496
C -1.630 -1.312 -0.639
C -1.235 -0.171 -1.277
C -0.569 -0.203 -2.625
N -1.603 1.096 -0.806
H -1.461 -2.254 -1.132
H -2.506 -1.290 -0.006
H -0.232 0.789 -2.928
H 0.296 -0.866 -2.594
H -1.274 -0.565 -3.373
H -1.739 1.802 -1.514
H -2.334 1.089 -0.110
```

=====

(2)
This record from the Open Molecules 2025 dataset describes a 2-piece molecular cluster, C7H16N2O overall in a non-equilibrium geometry. The level of theory is ωB97M-V/def2-TZVPD.

* max |F|: 6.11 eV/A
* Kohn-Sham gap: 10.31 eV
* lowest unoccupied orbital energy: -8.33 eV
* HOMO: -18.63 eV
* multiplicity: 1
* energy: -460.3209 Eh
* total charge: +2

```
26
C7H16N2O | the Open Molecules 2025 dataset | ωB97M-V/def2-TZVPD
C 0.217 -0.253 -0.527
C 0.411 -1.422 -1.341
C 1.518 -0.897 -2.255
C 1.332 0.638 -2.173
C 0.480 2.123 -0.439
C -2.583 0.026 1.431
C -0.161 -0.638 1.501
N 0.745 0.830 -0.913
N -1.266 0.055 2.118
O 0.957 -0.405 2.259
H 0.684 -2.409 -0.928
H -0.534 -1.614 -2.096
H 2.505 -1.009 -1.748
H 1.447 -1.305 -3.246
H 2.333 1.161 -2.229
H 0.652 1.065 -2.951
H 1.494 2.626 -0.309
H -0.119 2.175 0.498
H -0.151 2.679 -1.177
H -3.045 -0.970 1.337
H -3.243 0.514 2.128
H -2.591 0.455 0.417
H -0.253 -1.812 1.365
H -0.863 1.043 2.276
H -1.282 -0.294 3.102
H 1.268 -1.166 2.687
```

=====

(3)
This record from the Open Molecules 2025 dataset describes a 2-piece molecular cluster, C7H16N2O2 overall in a non-equilibrium geometry. The level of theory is ωB97M-V/def2-TZVPD.

* max |F|: 6.39 eV/A
* Kohn-Sham gap: 8.32 eV
* lowest unoccupied orbital energy: 0.61 eV
* HOMO: -7.71 eV
* multiplicity: 1
* energy: -536.1825 Eh

```
27
C7H16N2O2 | the Open Molecules 2025 dataset | ωB97M-V/def2-TZVPD
C -1.780 1.070 2.300
C 0.556 0.327 -2.153
C -1.194 -1.530 1.081
C 1.077 -0.193 1.521
C 0.437 1.733 0.161
C 0.975 -0.391 -0.875
C -1.227 -0.050 0.649
N -2.050 0.347 -0.420
N 0.438 0.286 0.339
O -2.696 1.661 1.895
O -1.163 0.788 3.246
H 1.275 1.209 -2.148
H 0.611 -0.380 -3.094
H -0.517 0.361 -2.114
H -2.231 -1.901 0.889
H -0.452 -2.084 0.449
H -1.183 -1.756 2.111
H 1.071 -1.237 1.343
H 2.024 0.175 1.611
H 0.448 0.137 2.289
H -0.215 2.080 -0.660
H -0.026 2.123 1.005
H 1.378 2.206 0.156
H 2.087 -0.376 -0.842
H 0.620 -1.442 -0.888
H -2.768 0.915 -0.162
H -2.339 -0.497 -1.099
```

I think there are definite parallels between my experience of physio, and my faith. Here at Liberton we are in the middle of our season of focussing on the ‘upward’ dimension of our spiritual lives, and often, in all the busy-ness of 21st century living, this is the one that suffers most. As a result our faith begins to get a bit creaky, and our relationship with God becomes more and more forced when it could be flowing.

The solution? Nothing too drastic – just a willingness and a commitment on our part to get back to the basics. Spending time with God can at first seem very like hard work, especially if it’s something we are not used to doing regularly, but it soon makes a real difference.

Let me leave you with the words of one of my favourite Alan McKinlay songs, which are all about being persistent in prayer, and which are a paraphrase of the words of the Master himself, (to be found in Luke 11.9-13).

We’re asking and we keep on asking

We’re seeking and we keep on seeking

We’re knocking on the door of heaven

And we won’t stop knocking ‘till we see heaven come to earth

Happy Exercising!

Much love


Going deeper with God

The following lines from a book by Peter Scazzero have really challenged me because I recognised their truth –

“Many Christians are stuck. Some are lost at this very moment, trying to find their way. Others are afraid they will go astray if they remain stuck for much longer. More than a few are lost without knowing it”*

There are lots of good words that could be used to describe Liberton Kirk, but one of the not so good ones is ‘busy’. Liberton Kirk is a ‘busy’ church. When you add up all the things that are going on and divide them by the number of people in the church, you would think that everyone had a fairly balanced spiritual life. Sadly, this is not the case. Some of us are doing far too much and thereby risking spiritual burn-out, while others are involved in so little that they run the serious risk of spiritual drift. In both cases there is the sense that we have got ourselves ‘stuck’.

+++
Record 1
The following is a quantum chemistry calculation of a structure of composition C9H14AlCl2F2Li at a distorted geometry, from OMol25.

```
29
Properties=species:S:1:pos:R:3:mulliken_charge:R:1
C 3.3454 -0.1629 0.7185 -0.627
C 2.0853 -0.4545 1.1501 -0.419
Al 0.3904 -0.0475 0.1033 -0.209
C -1.1087 -0.9601 1.1567 -0.267
Cl -0.7216 -2.6228 1.8223 -0.119
C -2.3457 -0.5065 1.4287 0.325
C -3.3894 -1.2304 2.2569 -1.229
Cl -2.8174 1.0424 0.8023 -0.124
C 0.6071 -1.0523 -1.6710 0.368
C -0.1061 -0.3447 -2.8247 -1.149
F 1.9453 -1.3202 -2.0002 -0.328
C 0.2354 1.9570 -0.1022 0.389
C 1.5597 2.6305 -0.5082 -1.222
F -0.7042 2.2898 -1.1565 -0.365
H 3.6340 0.8837 0.6400 0.269
H 4.0805 -0.9329 0.4795 0.225
H 1.9991 -0.9561 2.1257 0.287
H -4.0761 -0.5177 2.7023 0.346
H -2.9348 -1.8347 3.0363 0.357
H -3.9566 -1.9045 1.5942 0.328
H 0.1100 -2.0405 -1.5560 0.164
H -0.1850 -0.9557 -3.7259 0.361
H 0.4362 0.5818 -3.0175 0.243
H -1.0966 -0.0313 -2.4805 0.272
H -0.1350 2.4212 0.8179 0.398
H 1.8876 3.2892 0.2963 0.279
H 2.3227 1.9233 -0.8282 0.171
H 1.3527 3.2747 -1.3656 0.350
Li -2.4141 -2.4185 0.1054 0.926
```

LUMO (eV): -1.59
HOMO-LUMO gap (eV): 4.676
Highest occupied orbital energy (eV): -6.27


Record 2
The following is a quantum chemistry calculation of a cluster of 2 separate species, C9H14BrN3O3P in total at a distorted geometry, from OMol25.

```
31
Properties=species:S:1:pos:R:3:mulliken_charge:R:1
C -2.8565 0.0600 -3.0284 -0.916
P -1.3112 -0.9757 -2.5971 0.297
C -1.4547 -2.7615 -3.3619 -0.930
C -1.1223 -1.2900 -0.7231 -0.094
C -2.0844 -2.2296 0.2156 0.032
N -1.7907 -2.4348 1.7166 -0.126
Br -2.9796 -3.6070 2.6463 0.143
C -0.6100 -1.7894 2.4396 -0.142
C 0.4500 -0.8091 1.6509 -0.468
C 0.1679 -0.5619 0.0281 0.311
C 1.2313 0.3976 -0.8096 0.237
O 0.8687 1.3860 -1.6477 -0.424
O 2.7102 0.2033 -0.6440 -0.430
H -3.0114 1.0148 -2.3650 0.313
H -3.8426 -0.6041 -3.0965 0.297
H -2.6888 0.4643 -4.1384 0.323
H -1.1326 -2.6374 -4.4817 0.351
H -2.5715 -3.0828 -3.2199 0.291
H -0.7154 -3.4398 -2.7270 0.299
H -2.9997 -2.7912 -0.2674 0.377
H -0.3902 -1.9959 3.5944 0.365
H 1.3860 -0.3203 2.2069 0.412
H 3.0708 1.1506 -0.5130 0.449
C 3.1133 3.3558 2.0680 0.706
O 4.0663 3.4127 1.3070 -0.632
N 3.1297 3.9040 3.2963 -0.395
N 1.9614 2.7400 1.7462 -0.272
H 2.3549 3.8676 3.9371 0.161
H 3.9782 4.3774 3.5781 0.244
H 1.9072 2.3139 0.8303 0.036
H 1.1658 2.6827 2.3593 0.186
```

LUMO (eV): -5.82
HOMO-LUMO gap (eV): 5.872
Net charge: +1
Highest occupied orbital energy (eV): -11.69


Record 3
The following is a quantum chemistry calculation of an isolated molecule of C9H14BrNO2S at a distorted geometry, from OMol25.

```
28
Properties=species:S:1:pos:R:3:mulliken_charge:R:1
H 3.3907 -0.4285 -2.7931 0.238
N 3.0307 -0.7205 -1.9584 -0.545
C 3.2561 0.1394 -1.0749 0.595
Br 4.5718 1.5568 -1.3400 -0.219
C 2.7158 0.1263 0.2405 0.036
C 1.9177 -0.7733 0.8439 -0.817
S 1.2936 -2.3943 0.5943 -0.210
C 0.2294 -2.3771 -0.9542 -0.627
C -0.8252 -1.3423 -0.8465 0.530
O -1.6727 -1.2825 -1.6664 -0.525
+++

To be ‘stuck’ is to have lost your ‘first love’. Whether it is through doing too much or doing too little, the fires that first burned so brightly have grown dimmer. The joy has gone. Jesus is no longer the dominant force in your life. You are either too distracted to develop your relationship with him, or too tired to enjoy it.

**Misplaced calculated molecules**
____________
The following is a DFT calculation (ωB97M-V with the def2-TZVPD basis set) of a gas-phase ion, C6H15N2O (charge +1).

Each line ends with the Löwdin charge.
CARTESIAN COORDINATES (ANGSTROEM)
O 2.81816 -0.42798 0.11308  -0.162
N 1.22784 1.21950 0.44752  0.117
N 1.72256 -1.25878 0.08230  0.096
C -0.72483 0.11910 -1.45057  -0.049
C -1.37985 -1.61126 0.32746  -0.045
C 2.46020 0.73948 -0.47947  -0.093
C 0.37415 0.09787 0.83609  -0.038
C -0.90648 -0.17548 0.04869  -0.629
C -2.00008 0.72213 0.52367  -0.054
H -2.90426 0.24439 0.03887  0.131
H 1.89719 -2.02276 0.80211  0.129
H -1.93089 1.76461 0.29966  0.089
H 2.01150 0.53462 -1.48883  0.145
H -2.04890 -2.07425 -0.50154  0.132
H -0.32417 1.12600 -1.81196  0.108
H 0.29510 -0.12600 1.86627  0.135
H -0.48111 -2.33234 0.34352  0.089
H 0.62418 1.90221 -0.15987  0.217
H -1.70637 0.21016 -1.79349  0.066
H -1.98840 0.54024 1.56671  0.076
H 1.59216 1.55375 1.26480  0.126
H -0.17368 -0.58006 -2.04534  0.083
H 3.34339 1.51463 -0.25767  0.201
H -1.79742 -1.67979 1.42796  0.131

Results
Net charge: +1
Energy relative to the best compared isomer or geometry (same formula, charge and spin): 4.8534 eV
E_HOMO: -13.48 eV
Orbital gap: 9.9045 eV
Strongest force on any atom: 0.0953 hartree/bohr
E: -421.94126 Eh

=====

The following is a DFT calculation (ωB97M-V with the def2-TZVPD basis set) of 6 unconnected molecules or ions with the total composition C40H43O10S.

Each line ends with the Löwdin charge.
CARTESIAN COORDINATES (ANGSTROEM)
S -5.39853 -3.89316 1.86118  1.120
O 3.77631 2.04856 1.56212  0.081
O -6.40967 1.58249 -3.69814  0.124
O 3.27705 3.46187 -4.41207  0.111
O 1.22642 3.81360 5.85014  0.116
O -0.57565 6.78810 -9.73494  0.122
O -0.82407 2.78462 -6.27971  0.077
O 0.56010 0.27646 -1.17854  0.076
O 0.07638 -5.73605 6.79638  0.122
O -2.53249 1.65687 -0.09381  0.103
O 0.08049 -5.18452 1.53278  0.094
C 1.07438 2.84949 3.70968  0.029
C 1.19731 0.98846 -1.93173  -0.368
C -3.34046 -2.13808 1.22818  -0.257
C -3.41289 1.66442 -0.92736  -0.382
C -0.91126 -1.59628 1.47012  -0.180
C -0.76516 3.70196 -7.07560  -0.377
C -1.93465 5.37671 -8.43170  0.028
C 5.66004 -3.48740 1.31606  -0.115
C -3.25933 2.33882 -2.23781  0.030
C 1.38256 -1.07656 2.52832  -0.186
C 4.84020 -2.20667 1.21595  -0.271
C 0.08234 -5.32395 2.73778  -0.392
C 0.05642 -0.52343 1.99524  -0.199
C 1.81292 3.42080 4.86697  -0.381
C 2.37566 1.74399 -1.44064  0.030
C 0.53797 4.19403 -7.58660  0.024
C 3.29499 3.48973 4.76865  0.030
C 1.30883 -5.17836 4.86304  0.036
C 1.71683 2.40964 2.63236  0.016
C 0.81290 1.14422 -3.35381  0.022
C 1.29872 -5.04135 3.54028  0.018
C 3.19812 2.47006 2.54331  -0.371
C -5.52128 1.61396 -2.87903  -0.379
C -1.12417 -5.92338 4.78503  0.022
C 3.93751 3.04971 3.69013  0.028
C 3.38865 -2.40471 1.63563  -0.236
C -5.67807 0.93629 -1.56024  0.026
C 0.09287 -5.62095 5.59298  -0.381
C -4.69951 0.96847 -0.66309  0.002
C 1.49678 1.94917 -4.16153  0.025
C 2.52914 -1.14548 1.50564  -0.189
C -2.26715 -1.61288 2.17832  -0.203
____________

How do we get our spiritual life moving again? The answer is to get our balance right – not in terms of what we do and don’t do for him, but in terms of how much time we are actually spending with him in the first place. We need to give ourselves permission to go deeper with God.

And so, on Saturday 21st January, 2017, you are invited to our next Congregational Focus Day, when the focus will be on getting our spiritual balance right. The purpose of this day is NOT just to learn one or two interesting new things about our faith. Rather, it is to set aside some quality time to be with God and with each other, so that together we can re-evaluate our priorities as a church. While parts of the morning will be led by Scott and Faith Brennan, our guest speakers, there will also be opportunities to sit in silence and opportunities to talk through what we have learned.

Whether you are new to the church, or whether you have been around for a long time, this invitation is for you. Sign-up sheets are available at the West Door. Hope to see you soon.

*Peter Scazzero – ‘Emotionally Healthy Spirituality’

For more information contact John Young – 0131 664 3067 /

Daily Devotions for December 2016


 December 2016


Our Father, who art in heaven
Hallowed be Your Name.
Your kingdom come
Your will be done on earth as it is in heaven.
Give us this day our daily bread
And forgive us our sins
As we forgive those who sin against us.
Lead us not into temptation
But deliver us from evil.
For Yours is the kingdom, the power and the glory.
Now and for ever


Living in interesting times – a thought for Advent!

The story goes that in Ancient China the worst thing you could wish on anyone was that they would live in ‘interesting times’ – times of uncertainty and instability. There is a feeling in the air these days that, here in the West, such ‘interesting times’ are now upon us.

In my twenty years of ministry here at Liberton, I can think of no time when there has been greater uncertainty about the future. Referendums, presidential elections across the pond, up and coming elections in key European states, and the rise of China and its impact on the global economy, all point us to the reality that in the months to come we will be facing a ‘perfect storm’ of change.

To those of us who lived through the upheavals of the last century, such times are not a new experience. The First World War, the rise and fall of fascism, and the rise and fall of the Berlin Wall were all significant events that changed the world. To those who have lived most of their lives since then, however, change on the scale we are currently facing can be an unsettling thing.

Living in ‘interesting times’, however, can also have its positive side. It forces us to face up to the fact that being in full control of our lives, our community, and the future of our nation is actually an illusion. It forces us to take a step back and rethink our own values and priorities. It make us take a hard look at all the things we do, and ask if they are really as necessary as we think they are.

Traditionally, Advent is the season when we prepare our hearts and lives for the coming of Jesus, and, whatever happens in the coming year, this is one reality that will not have changed. So, here’s a thought for Advent. Think of it as a God-given time for thinking and praying about the things in your life that really matter, and then let these priorities influence all you say and do – not just over the Christmas season, but in the ‘interesting times’ to come.

Much love
